Wednesday, 1 February 2017

4 Reasons to Install Windows 10 Right Now

Let's not even talk about Windows 8 or Windows 8.1. They are best forgotten, just like Windows ME or Windows Vista. After Windows 7, the proper operating system to hit the market is Windows 10. And with Windows 7 is almost at the end of its lifetime, it is high time to migrate to Windows 10.  Windows 7 to 10 migration has multiple benefits which we will discuss briefly.

1.    Receive regular updates: Windows 7 will retire later this year which means you will not receive any update. This will make the computer vulnerable to hacking threats. With Windows 10, you will receive not only the latest security features but also get periodic updates which will keep you safe from modern hacking tools and attempts.

2.    Increased employee productivity: Survey has proved that Windows 10 increases employee productivity in an organisation. If that is to be believed, then your organisation stands to gain a lot from this migration.

3.    Better built-in software: Windows 10 comes with many modern software and applications. For example, the latest browser from Microsoft, Edge, is the best browser from the company and that is installed in Windows 10 by default. These modern applications are better suited to handle the modern computing needs. 

4.    Improved speed: Windows 10 is faster than Windows 7. In fact, this is the fastest yet operating system from Windows. The increased speed will surely increase the way things move in the organisation.

Modernise Your Legacy Applications To Save Effort and Money

One of the most common problems faced by almost every old organisation is how to migrate the so called legacy applications. These applications, which have aged since their inception, are actually still capable of delivering what they were created to deliver but they are unable to cope up with the changing business environments or the expansion of the business or even are incompatible with the newer computing environment.

Additional issues which might pop up, complicating the case further, is the paucity of staffs who know how to handle and maintain these applications. There would be hardly any updated documentation and adding new functionalities which might become necessary during the course of time will be difficult while keeping the original architect intact.

Building a new application is always a solution but that might not take advantage of the investment made in the research and development of the original software. It might also fail to utilise the collection of enterprise data which has been captured by the existing organisational architecture. Finding a third-party solution is another way of handling the crisis but there is hardly ready-to-use application which has every feature which the organisation needed.

Rather than waiting for a long time to build a perfect replacement which might never take form and which might also become outdated even before it is implemented, migrating the legacy application to a modern system might be an excellent idea. You can retain the original architecture yet install all the modern and needed features into the system.

Are The Boards Prepared for Cyber Attacks?

The possible negative effect of cyber attack on a business is so grave that it is time for the cybersecurity and information risk management is to be elevated and have its own category of INFOSEC (information security) and should be reported to the CXO level.  

Board of director, chief information security officer, general counsels and chief risk officers need to comprehend and monitor the planning and readiness to address the threats of cyberattack. 

A recent study by a prominent body in cyber security found out that one third of all the general counsels surveyed believe that their board is not ready to handle cyber attack real time. Less than half of the CEOs said that their companies have a formulated and approved method for handling cyber attack. However, on a positive note, almost four fifth of all the general counsel and CEOs said that they are ready to detect a cyber security breach. This also indicates that there is a stark difference between being mentally ready or aware and to have a written strategy to combat the threat. In an older survey of 2012 by Carnegie Mellon decided that boards are not actively preparing for the threats for cyber attack. 

[These calculated crystals were left in the article by mistake]
********
# 1
Material: LuAlSi
Method: DFT, PBE
State: optimized geometry

For the formation energy, the calculation gives -0.563 eV/atom.

abc: 5.4152 5.4152 5.6119
angles: 90.00 90.00 136.86
Positions (direct):
1 Lu 0.6945 0.3055 0.7500
2 Lu 0.3055 0.6945 0.2500
3 Al 0.0000 0.0000 0.5000
4 Al 0.0000 0.0000 0.0000
5 Si 0.3979 0.6021 0.7500
6 Si 0.6021 0.3979 0.2500

***

# 2
Material: Hf2InNi2
Method: DFT, PBE
State: optimized geometry

For the formation energy, the calculation gives -0.506 eV/atom.

abc: 7.1727 7.1727 3.3266
angles: 90.00 90.00 90.00
Positions (direct):
1 Hf 0.1661 0.3339 0.0000
2 Hf 0.8339 0.6661 0.0000
3 Hf 0.6661 0.1661 0.0000
4 Hf 0.3339 0.8339 0.0000
5 In 0.0000 0.0000 0.5000
6 In 0.5000 0.5000 0.5000
7 Ni 0.3739 0.1261 0.5000
8 Ni 0.6261 0.8739 0.5000
9 Ni 0.8739 0.3739 0.5000
10 Ni 0.1261 0.6261 0.5000

***

# 3
Material: Mg3Si8Ir3
Method: DFT, PBE
State: optimized geometry

For the formation energy, the calculation gives -0.471 eV/atom.

abc: 8.6809 8.6809 8.6809
angles: 60.00 60.00 60.00
Positions (direct):
1 Mg 0.8503 0.8503 0.8503
2 Mg 0.8503 0.8503 0.4490
3 Mg 0.8503 0.4490 0.8503
4 Mg 0.5000 0.5000 0.5000
5 Mg 0.4490 0.8503 0.8503
6 Mg 0.2500 0.2500 0.2500
7 Si 0.8901 0.4705 0.4705
8 Si 0.7777 0.0741 0.0741
9 Si 0.4705 0.8901 0.1688
10 Si 0.4705 0.4705 0.8901
11 Si 0.4705 0.1688 0.4705
12 Si 0.8901 0.1688 0.4705
13 Si 0.1688 0.4705 0.4705
14 Si 0.1688 0.4705 0.8901
15 Si 0.0741 0.7777 0.0741
16 Si 0.4705 0.4705 0.1688
17 Si 0.8901 0.4705 0.1688
18 Si 0.1688 0.8901 0.4705
19 Si 0.4705 0.8901 0.4705
20 Si 0.0741 0.0741 0.7777
21 Si 0.4705 0.1688 0.8901
22 Si 0.0741 0.0741 0.0741
23 Ir 0.2450 0.7550 0.2450
24 Ir 0.7550 0.7550 0.2450
25 Ir 0.7550 0.2450 0.2450
26 Ir 0.2450 0.7550 0.7550
27 Ir 0.2450 0.2450 0.7550
28 Ir 0.7550 0.2450 0.7550

***

# 4
Material: SbP2SN3Cl10
Method: DFT, PBE
State: optimized geometry

The total magnetization is 0.000 μB/f.u. For the formation energy, the calculation gives -0.827 eV/atom.

abc: 8.9972 13.0156 16.3435
angles: 90.00 90.00 90.00
Positions (direct):
1 Sb 0.5000 0.5000 0.5000
2 Sb 0.5000 0.5000 0.0000
3 Sb 0.0000 0.0000 0.5000
4 Sb 0.0000 0.0000 0.0000
5 P 0.9748 0.6207 0.7500
6 P 0.0252 0.3793 0.2500
7 P 0.5468 0.0908 0.2500
8 P 0.5252 0.1207 0.7500
9 P 0.4748 0.8793 0.2500
10 P 0.4532 0.9092 0.7500
11 P 0.9532 0.5908 0.2500
12 P 0.0468 0.4092 0.7500
13 S 0.2758 0.5575 0.7500
14 S 0.7758 0.9425 0.2500
15 S 0.2242 0.0575 0.7500
16 S 0.7242 0.4425 0.2500
17 N 0.7242 0.0568 0.2500
18 N 0.0661 0.4977 0.2500
19 N 0.9339 0.5023 0.7500
20 N 0.4339 0.9977 0.2500
21 N 0.3439 0.1437 0.7500
22 N 0.8439 0.3563 0.2500
23 N 0.1561 0.6437 0.7500
24 N 0.5661 0.0023 0.7500
25 N 0.2758 0.9432 0.7500
26 N 0.2242 0.4432 0.7500
27 N 0.6561 0.8563 0.2500
28 N 0.7758 0.5568 0.2500
29 Cl 0.1242 0.8360 0.5130
30 Cl 0.3918 0.8080 0.1537
31 Cl 0.8758 0.1640 0.0130
32 Cl 0.2742 0.5870 0.9544
33 Cl 0.3758 0.3360 0.5130
34 Cl 0.5177 0.1812 0.1538
35 Cl 0.7742 0.9130 0.0456
36 Cl 0.1082 0.3080 0.3463
********

Only one fourth of the respondents, all of whom are from Forbes Global 2000 companies, review the top-level privacy and information technology policies on a regular basis and approve them. However, a dismal 40% respondents said that they hardly ever do it, if ever. These figures are worrying and a call for the board members to pay more attention to cyber attack threats.

What Is The Difference Between MSI And EXE Installations?

MSI packaging is considered to be the future of application packaging and Microsoft encourages software developers and administrators to reformat the EXE packages to MSI packages. MSI packages are created according to the standard definition created by the Windows Installer Technology from Microsoft. This means that all the MSI packages which are created using different packaging tools have similar deployment and management system. EXE files, on the other hand, are just executable files which don't adhere to any defined standard. Depending on the creation tool used, an EXE installation might have different customised options for installation and uninstallation, error handling process and deployment method.

As there are no single standard for EXE installation, different vendors use different set of standards to create their own executables. Thus, two installers, created by two different creation tools, namely Wise Studio and InstallSheild will have everything different. This is a major headache for every network administrators who are often required to push unattended remote software installation and uninstallation and are responsible for software infrastructure of an organisation. Moreover, most of the EXE installers don't support silent mode of installation.

A typical EXE set up has different interactive options during the installation and the user needs to click on different options during different steps of the installation. Thus, the IT guy needs to click on those options on every computer they want to install the software on, one by one. This can be very time-consuming and almost impossible if the plan is to install it remotely.